Natasha and Wanda were drunk. They dragged Gwen out to celebrate, and she was the one still sober, not feeling much like celebrating.

The man on stage was down to a pair of tiny, tight shorts that left little to the imagination, especially when he teased pulling them down to reveal an ass cheek.

The women went wild. Wanda and Natasha were on their feet, whooping and making lewd gestures with their hips. The stripper seemed to encourage it, so she let them go.

When the man left the stage they sat down, laughing and fanning themselves.

"Man," Wanda said, "each one is hotter than the last."

"Really," Gwen said, "don't know how you can tell through those beer goggles."

"Why are you being such a party pooper? You should be celebrating."

"I still don't see how divorce is something to celebrate."

"When it's from a man like Robert," Natasha said, "it's worth celebrating. I mean, how long did he drag the divorce out?"

"Two years."

"Two years! And you haven't been with a man since before you separated. This," she waved her hand around the room, "starts making up for that. We have to get you reacquainted with the male form."

Gwen laughed, but shook her head. "But it's still a divorce. My marriage failed."

"Because of him," Wanda said. "You fought to keep things together. He didn't."

The stage lights picked up again, and the ladies screamed. A man in a camouflage uniform came out and stood ramrod straight, hands at his sides. When the music started, a slow, sensual rhythm, he rolled his hips and tugged the hat low over his eyes.

For the first time that night, Gwen's eyes were glued to the stage. She did have a thing for military uniforms.

The man dropped to his knees then ground his hips into the floor before ripping the uniform open to reveal a rock hard chest and abs. Natasha and Wanda were back on their feet, but Gwen just sat and stared. She caught a glimpse of crystal blue beneath the low hat, and hair long enough that it wasn't to military standards. Not that it mattered, because the uniform was soon gone, and he was in the tiny, tight shorts.

He wasn't as flirtatious as the other dancers had been. He came out, did his thing, and was gone.

Natasha grinned at Gwen. "Finally found one to drool over, huh?"


"Oh, come on. Your tongue was practically hanging out of your mouth."

"Was not."

"Yeah, ok."

She waved a waiter over and whispered in his ear. Gwen got nervous when she saw Natasha point toward her.

"What are you doing?"


"Bull shit. What did you just do?"

Natasha just grinned and sipped her drink.

"Nat, I'm not joking, what—"

A large hand took Gwen's and pulled her from her chair. She was tugged into a solid chest and bright blue eyes stared back at her. Without his hat, she could see every detail of his face. He was gorgeous, wearing jeans and a grey tee.

"Umm... hi," she whispered.

"Are you my private dance?"

"Am I... What? No."

- - -
No. 1
First-principles (PBE) data for crystalline Re4C3 at its relaxed geometry, as listed in Alexandria.

Results
The energy is -10.331 eV per atom. For the energy above the most stable polymorph in this dataset, the calculation gives 90 meV/atom.

a = 4.276 Å, b = 4.276 Å, c = 4.276 Å
α = 90.00°, β = 90.00°, γ = 90.00°
Space group Pm-3m (No. 221)
Asymmetric unit:
Re1 0.000 0.000 0.000 x1
Re2 0.000 0.500 0.500 x3
C1 0.000 0.000 0.500 x3

No. 2
First-principles (PBE) data for crystalline PmZrAgOs at its relaxed geometry, as listed in Alexandria.

Results
The energy is -6.940 eV per atom.

a = 6.943 Å, b = 6.943 Å, c = 6.943 Å
α = 90.00°, β = 90.00°, γ = 90.00°
Space group F-43m (No. 216)
Asymmetric unit:
Pm1 0.000 0.000 0.000 x4
Zr1 0.000 0.000 0.500 x4
Ag1 0.250 0.250 0.750 x4
Os1 0.250 0.250 0.250 x4

No. 3
First-principles (PBE) data for crystalline MnAl2Se at its relaxed geometry, as listed in Alexandria.

Results
The energy is -5.082 eV per atom. The value obtained for the energy relative to the elements, uncorrected is -46.8 meV/atom.

a = 2.9354 Å, b = 2.9354 Å, c = 29.8516 Å
α = 90.00°, β = 90.00°, γ = 120.00°
Space group R3m (No. 160, hexagonal axes)
Asymmetric unit:
Mn1 0.0000 0.0000 0.0000 x3
Al1 0.0000 0.0000 0.4780 x3
Al2 0.0000 0.0000 0.7334 x3
Se1 0.0000 0.0000 0.2794 x3

No. 4
First-principles (PBE) data for crystalline Y2FeSb at its relaxed geometry, as listed in Alexandria.

Results
The energy is -6.374 eV per atom. The value obtained for the energy relative to the elements, uncorrected is 4.6 meV/atom.

a = 7.857 Å, b = 7.857 Å, c = 6.398 Å
α = 90.00°, β = 90.00°, γ = 90.00°
Space group I-42d (No. 122)
Asymmetric unit:
Y1 0.203 0.250 0.125 x8
Fe1 0.000 0.000 0.000 x4
Sb1 0.000 0.000 0.500 x4

No. 5
First-principles (PBE) data for crystalline La3CoCu at its relaxed geometry, as listed in Alexandria.

Results
The energy is -5.295 eV per atom. For the energy above the most stable polymorph in this dataset, the calculation gives 19 meV/atom.

a = 8.964 Å, b = 7.537 Å, c = 8.267 Å
α = 90.00°, β = 105.62°, γ = 90.00°
Space group P2_1/c (No. 14)
Asymmetric unit:
La1 0.084 0.009 0.218 x4
La2 0.321 0.149 0.622 x4
La3 0.354 0.689 0.500 x4
Co1 0.414 0.033 0.321 x4
Cu1 0.047 0.665 0.027 x4

No. 6
First-principles (PBE) data for crystalline TmMg5Rh6 at its relaxed geometry, as listed in Alexandria.

Results
The energy is -5.298 eV per atom.

a = 4.464 Å, b = 6.373 Å, c = 7.039 Å
α = 90.00°, β = 108.39°, γ = 90.00°
Space group P2/m (No. 10)
Asymmetric unit:
Tm1 0.000 0.000 0.000 x1
Mg1 0.000 0.500 0.000 x1
Mg2 0.331 0.000 0.661 x2
Mg3 0.334 0.500 0.667 x2
Rh1 0.168 0.254 0.338 x4
Rh2 0.500 0.258 0.000 x2

No. 7
First-principles (PBE) data for crystalline YScF2 at its relaxed geometry, as listed in Alexandria.

Results
The energy is -6.369 eV per atom. The value obtained for the energy relative to the elements, uncorrected is -2234.2 meV/atom. For the energy above the most stable polymorph in this dataset, the calculation gives 234 meV/atom.
- - -

"Yes." Natasha said. "She is. Show her a good time. She needs it."

He nodded and gave Gwen's hand a light squeeze before pulling her into a private room. The door shut and Gwen panicked.

"Look, I'm not... this isn't... my friends did this and—"

"Relax. This is your show. I won't do anything you don't want. Ok?"

Gwen took a breath and nodded. "Thing is, I don't know what to... I mean, I've never..."

"Did you like my show on stage?"

Gwen nodded.

"I can just do that here."

He gently guided her by the arm to the small sofa, and she sat.

He rolled his hips and hooked his thumb into the hem of his shirt, lifting it a little. His eyes were locked on hers. He pulled the shirt higher, and Gwen stood.

"I'm sorry. I can't... this just feels too intimate."

He fixed his shirt and put his hands on her shoulders.

"Hey, it's ok."

"I'm sorry. My friends just—"

"Stop apologizing." He motioned back to the sofa. "Have a seat."

"I should go."

"Your friend paid for fifteen minutes. If you don't mind staying, I could use the break."

"Oh. Ok, I guess that won't hurt. Not really looking forward to seeing her right now, anyway."

Gwen sat. When he sat next to her she stiffened.

"I don't bite, you know. Strict policy."


"What's your name?"


He extended his hand. "Bucky."

"Bucky? Is that, like, your stripper name?"

He laughed, "No. my middle name is Buchanan, and people have always just called me Bucky for short."

"Wow... if that's what you go by then your first name must be awful."

"Whoa, now." He smiled.

"Sorry. That sounded way worse than I meant it to."

He waved the comment off. "My name is James."

"Which do you prefer?"

He shrugged. "I like Bucky."

"All right, then. Bucky it is."

He sank into the sofa with his arm stretched out across the back.

"Your friends made you come here tonight, right?"

She smiled. "Is it that obvious?"

=====
A plane-wave DFT calculation with GGA-PBE was carried out for a relaxed LiIrOs2 crystal.

a b c (Å): 4.2673 4.2673 4.2673
angles (deg): 60.00 60.00 60.00
With the nearest neighbours (Å) after each atom.
Positions (direct):
1 Ir 0.5000 0.5000 0.5000  8 Os 2.61
2 Os 0.7500 0.7500 0.7500  4 Li 2.61, 4 Ir 2.61
3 Os 0.2500 0.2500 0.2500  4 Ir 2.61, 4 Li 2.61
4 Li 0.0000 0.0000 0.0000  8 Os 2.61

* space-group type: No. 225
* total magnetic moment: 0.000 μB per formula unit
* formation energy from the elements: 0.430 eV/atom
* ΔE to the lowest computed polymorph: 0.316 eV/atom

---

A plane-wave DFT calculation with GGA-PBE was carried out for a relaxed LiIrOs2 crystal.

a b c (Å): 2.7206 3.9717 5.0922
angles (deg): 90.00 90.00 90.00
With the nearest neighbours (Å) after each atom.
Positions (direct):
1 Os 0.0000 0.0000 0.9868  2 Os 2.41-2.68, 4 Li 2.69
2 Os 0.0000 0.0000 0.5132  2 Os 2.41-2.68, 4 Li 2.69
3 Li 0.5000 0.5000 0.7500  2 Ir 2.55, 8 Os 2.69, 2 Li 2.72
4 Ir 0.5000 0.5000 0.2500  2 Li 2.55, 2 Ir 2.72, 8 Os 2.76

* space-group type: No. 47
* total magnetic moment: 0.000 μB per formula unit
* formation energy from the elements: 0.207 eV/atom
* ΔE to the lowest computed polymorph: 0.094 eV/atom

---

A plane-wave DFT calculation with GGA-PBE was carried out for a relaxed Li2IrOs crystal.

a b c (Å): 4.3092 2.6738 4.8382
angles (deg): 89.83 90.00 90.00
With the nearest neighbours (Å) after each atom.
Positions (direct):
1 Ir 0.5000 0.8738 0.6939  4 Os 2.62, 2 Ir 2.67, 6 Li 2.75-2.77
2 Os 0.0000 0.3752 0.5589  4 Ir 2.62, 2 Os 2.67, 6 Li 2.74-2.79
3 Li 0.0000 0.8768 0.0548  6 Li 2.62-2.67, 4 Os 2.74-2.78, 2 Ir 2.77
4 Li 0.5000 0.3742 0.1924  6 Li 2.62-2.67, 4 Ir 2.75-2.77, 2 Os 2.79

* space-group type: No. 6
* total magnetic moment: 0.000 μB per formula unit
* formation energy from the elements: -0.030 eV/atom
* ΔE to the lowest computed polymorph: 0.038 eV/atom

---

A plane-wave DFT calculation with GGA-PBE was carried out for a relaxed LiIr2Os crystal.

a b c (Å): 4.0181 2.6860 5.2641
angles (deg): 72.82 90.00 90.00
With the nearest neighbours (Å) after each atom.
Positions (direct):
1 Ir 0.0000 0.4005 0.4895  2 Li 2.47, 4 Ir 2.62-2.69, 4 Os 2.75
2 Ir 0.0000 0.0995 0.0105  2 Li 2.47, 4 Ir 2.62-2.69, 4 Os 2.75
3 Li 0.5000 0.2500 0.2500  4 Ir 2.47, 2 Os 2.58, 2 Li 2.69
4 Os 0.5000 0.7500 0.7500  2 Li 2.58, 2 Os 2.69, 8 Ir 2.75

* space-group type: No. 10
* total magnetic moment: 0.000 μB per formula unit
* formation energy from the elements: 0.047 eV/atom
* ΔE to the lowest computed polymorph: 0.071 eV/atom

---

A plane-wave DFT calculation with GGA-PBE was carried out for a relaxed LiIr2Os crystal.

a b c (Å): 4.2785 4.2785 4.2787
angles (deg): 60.00 60.00 60.00
With the nearest neighbours (Å) after each atom.
=====

"I saw you a couple of times in the crowd while the others were on stage. You looked uninterested."

"Yeah. We're supposed to be celebrating, but I'm not really—. You know... you don't want to hear this."

"No, go ahead. What were you going to say?"

Gwen stared at him a moment. "My divorce was finalized today, after my ass of an ex-husband dragged it out for two years."

"Whoa, why'd he do that?"

"Because he wanted to hurt me, and he had a prenup saying if I cheated while married I get nothing. He wanted me to get worn down and start dating again before we divorced."

"Guy sounds like a real jerk."

"He is."

"Then your friends are right. You should be celebrating."

"My marriage still failed. It's just... I always dreamed that I'd get married once, forever. You know? I guess everyone does. I don't want to be married to him anymore. Not after everything he's done. Still hurts."

"Then why are you here?"

"My friends. Since I cut myself off from men for two years they decided to plop me right in the middle of... Well..." She motioned to Bucky as an example.

"Wait. You really haven't been with a guy in two years?"

"Nope. I wasn't going to let him win."

Bucky smiled. "Good for you." He checked his watch. "We've got about five minutes left. You sure you don't want a show?"

She shook her head. "I just feel awkward having a stranger do that just for me."

+++
MgIr3Se: relaxed, PBE.

Geometry as POSCAR:
```
MgIr3Se
1.0
-0.488 4.114 -1.994
-4.497 -0.792 -0.533
-0.821 1.894 4.108
Mg Ir Se
1 3 1
direct
0.500 0.500 0.500 Mg
0.000 0.500 0.000 Ir
0.000 0.000 0.500 Ir
0.500 0.000 0.000 Ir
0.000 0.000 0.000 Se
```

Results
Its uncorrected formation energy is 0.840 eV per atom. The density of states at the Fermi level is 5.90 states/eV/cell. The value obtained for the offset from the most stable computed form is 0 meV per atom. The volume comes out at 97 Å³/cell.

***

MgIr2Se: relaxed, PBE.

Geometry as POSCAR:
```
MgIr2Se
1.0
-2.240 -1.799 -0.630
2.370 -3.691 2.115
-0.262 -1.510 5.243
Ir Mg Se
2 1 1
direct
0.000 0.000 0.000 Ir
0.500 0.500 0.000 Ir
0.500 0.500 0.500 Mg
0.000 0.000 0.500 Se
```

Results
Its uncorrected formation energy is -0.028 eV per atom. The density of states at the Fermi level is 2.06 states/eV/cell. The value obtained for the offset from the most stable computed form is 0 meV per atom. The volume comes out at 62 Å³/cell.

***

MgIr2Se: relaxed, PBE.

Geometry as POSCAR:
```
MgIr2Se
1.0
5.010 -0.007 0.000
2.012 4.589 0.000
-3.511 -2.291 2.743
Ir Mg Se
2 1 1
direct
0.000 0.000 0.000 Ir
0.250 0.750 0.500 Ir
0.500 0.500 0.000 Mg
0.750 0.250 0.500 Se
```

Results
Its uncorrected formation energy is 0.150 eV per atom. The density of states at the Fermi level is 3.04 states/eV/cell. The value obtained for the offset from the most stable computed form is 179 meV per atom. The volume comes out at 63 Å³/cell.

***

MgIr2Se: relaxed, PBE.

Geometry as POSCAR:
```
MgIr2Se
1.0
-3.238 2.411 -0.725
0.430 -0.285 -2.864
-2.944 -4.398 -1.476
Ir Mg Se
2 1 1
direct
0.000 0.811 0.002 Ir
0.500 0.183 0.256 Ir
0.000 0.561 0.504 Mg
0.500 0.945 0.738 Se
```

Results
Its uncorrected formation energy is 0.012 eV per atom. The density of states at the Fermi level is 3.36 states/eV/cell. The value obtained for the offset from the most stable computed form is 40 meV per atom. The volume comes out at 63 Å³/cell.

***

MgIr2Se: relaxed, PBE.

Geometry as POSCAR:
```
MgIr2Se
1.0
-8.431 -0.333 1.350
-7.668 -3.178 2.030
-7.420 -1.006 4.118
Ir Mg Se
2 1 1
direct
0.002 0.002 0.002 Ir
0.252 0.252 0.252 Ir
0.504 0.504 0.504 Mg
0.743 0.743 0.743 Se
```

Results
Its uncorrected formation energy is 0.146 eV per atom. The density of states at the Fermi level is 4.22 states/eV/cell. The value obtained for the offset from the most stable computed form is 175 meV per atom. The volume comes out at 66 Å³/cell.

***

Mg2IrSe: relaxed, PBE.

Geometry as POSCAR:
```
Mg2IrSe
1.0
-4.037 1.302 -1.421
0.336 -1.929 -2.721
-1.909 -3.481 2.232
Mg Ir Se
2 1 1
direct
0.000 0.125 0.908 Mg
0.500 0.125 0.333 Mg
0.500 0.625 0.823 Ir
0.000 0.625 0.436 Se
```

Results
Its uncorrected formation energy is -0.380 eV per atom. The density of states at the Fermi level is 1.76 states/eV/cell. The volume comes out at 68 Å³/cell.

***

MgIrSe: relaxed, PBE.

Geometry as POSCAR:
```
MgIrSe
1.0
4.296 0.000 0.000
-2.148 3.721 0.000
0.000 0.000 3.232
Ir Mg Se
1 1 1
+++

"I'm not a stranger anymore. I'm Bucky."

"James Buchanan."

"Exactly. You know my middle name. Who knows the middle name of a stranger?"

Gwen laughed.


Bucky took her hand and put her standing against the wall.

"Two years is a long time to go without attention," he said.

He pressed himself against her and rolled his hips. Gwen took in a sharp breath and bit her lip. He did a few moves from his stage routine, never letting their bodies separate, and never taking his eyes from hers, but he stayed fully clothed.

His nose ran along her neck and jaw, and Gwen thought he might actually kiss her a few times. The thought excited her, but scared her, and she stayed stiff against the wall. His hair fell into his face, and she had an overwhelming urge to brush it from his eyes, but she kept her hands at her sides.

He stood straight and towered over her.

"Time's up."

Gwen cleared her throat. "Thanks."

"My pleasure."

The world slipped into slow motion as he leaned down and pressed a kiss to her cheek.

"Congratulations on your freedom."


He stepped back, and she rushed to the door.

"By the way," he said, "kisses aren't really allowed, so if you could keep that to yourself..."

"Oh... yeah, sure."

He smiled at her and slipped out of a door at the back of the small room. She collected herself and let out a puff of air before she went back to her friends.

"How was it?" Wanda asked.


"I know you thought he was hot," Natasha said.

"He's very hot, but don't ever do that to me again." Gwen glanced around the room and saw Bucky talking to a woman at another table. "Can we go?"

"Yeah, ok. We can go."

Gwen made sure Wanda and Natasha got home safe, then she got ready for bed. Every time she closed her eyes she saw his face. As she drifted off she could swear she felt his body pressed against hers, grinding into her.